Thursday, September 22, 2011

The Scientific Process and Ship Wakes

This article from the open-access journal Atmospheric Chemistry and Physics was actually rejected to be published by the journal in 2010. Because of the open-access model of the journal, the originally submitted article along with reviewer comments can be viewed despite the article's rejection. In the article, the authors measured the amount of light reflected by the wakes from shipping barges in the northern Pacific Ocean from airplanes. They then used their results to estimate the increase in reflected sunlight from increases in shipping across the Pacific, since this would have a (very) small cooling effect on the climate. Unfortunately, while this was a somewhat clever idea, the reviewers thought that there were far too many uncertainties in both their measurements and calculations so that the reported number was an overestimate of an already small number.

While this article was rejected, because of the open-access nature of the journal, it shows how the scientific process of peer review works. Typically, when science and the scientific method is taught in schools, the curriculum focuses on the experimental process of science. While certainly this is very important, science also has important social ways of processing new information. If a group of scientists do a series of experiments that reach new and interesting conclusions, they will try to get their results published to a scientific journal. (And present this information at conferences, universities, research centers, etc.) Upon submission to a journal, two (or more) other scientists from the same research field will read the initial paper, either recommending that the results be published along with potential changes or that the paper be rejected outright. If the paper is rejected, the authors can appeal to have it accepted, but this is not usually granted. The authors then edit the paper based on the suggestions of the reviewers, and it is resubmitted and published in the next issue of the journal. Usually a reader only sees the final product of this process in a scientific journal, but in the case of an open-access journal such as Atmospheric Chemistry and Physics the entire process is visible to the reader (and the journal is free online). Even articles that eventually are rejected such as this one are immediately put on the journal's website after a quick review process to ensure the article is relevant.

Peer review is an important process to ensure quality as scientists being human after all are prone to misjudgment, bias, or error. While science is constantly changing over time as new ideas or methods are realized, it's important to make sure these ideas are plausible or methods actually work! While there are many cases of new ideas overturning the scientific consensus (I'm looking at you, quantum mechanics) it's often after these new ideas have been thoroughly scrutinized and verified through the process of peer review, discussions at scientific conferences, and independent testing of observations or experiments. The process is not without its faults, of course! Occasionally a scientist will unethically use peer review to block the publication of results that contradict their own. (Yes, it's kind of silly. There is the joke: "The debates in science are so fierce because the stakes are so low." I've seen people spend 15 minutes at a conference arguing about what the proper term for something is.) In those cases, an open access journal such as Atmospheric Chemistry and Physics provides the kind of transparency that makes such cases apparent to improve the scientific process. Hopefully with the growing use of information technology (I know I rarely ever read the actual printed journal) more publishers decide to switch to an open-access model not only for transparency but to improve access to scientific journals to the general public.

Wednesday, September 14, 2011

=====
Starting from a crystal structure in OQMD, relaxed with PBE, the powder X-ray diffraction pattern of PmPrS2Cl2 was simulated for copper Kα.
Neutral-atom scattering factors, no anomalous dispersion.

Structural model:
Cell: 4.870 4.870 6.807 Å, 90.00 90.00 90.00°
Atoms (fractional coordinates):
Pm (0.000, 0.000, 0.000)
Pr (0.500, 0.500, 0.598)
S (0.000, 0.500, 0.804)
S (0.500, 0.000, 0.804)
Cl (0.000, 0.000, 0.399)
Cl (0.500, 0.500, 0.196)

Largest 10 diffraction maxima, by angle, 10 to 80 degrees two-theta:
2θ (°)  I_rel
13.0  16
22.4  100
25.9  58
32.1  43
36.9  47
37.1  41
43.6  36
44.0  18
48.0  18
49.7  24

=====

Starting from a crystal structure in OQMD, relaxed with PBE, the powder X-ray diffraction pattern of AgSnS6 was simulated for copper Kα.
Neutral-atom scattering factors, no anomalous dispersion.

Structural model:
Cell: 6.305 6.305 6.305 Å, 60.00 60.00 60.00°
Atoms (fractional coordinates):
Ag (0.000, 0.000, 0.000)
Sn (0.750, 0.750, 0.750)
S (0.280, 0.280, 0.720)
S (0.280, 0.720, 0.280)
S (0.280, 0.720, 0.720)
S (0.720, 0.280, 0.280)
S (0.720, 0.280, 0.720)
S (0.720, 0.720, 0.280)

Largest 10 diffraction maxima, by angle, 10 to 80 degrees two-theta:
2θ (°)  I_rel
17.2  100
28.3  71
33.3  90
34.9  33
40.5  74
44.3  59
50.1  25
53.4  28
58.6  44
61.5  23

=====

Starting from a crystal structure in OQMD, relaxed with PBE, the powder X-ray diffraction pattern of HfZrGa2 was simulated for copper Kα.
Neutral-atom scattering factors, no anomalous dispersion.

Structural model:
Cell: 10.548 10.548 10.548 Å, 158.94 158.94 29.96°
Atoms (fractional coordinates):
Hf (0.000, 0.000, 0.000)
Hf (0.750, 0.250, 0.500)
Zr (0.355, 0.855, 0.500)
Zr (0.605, 0.605, 0.000)
Ga (0.137, 0.137, 0.000)
Ga (0.218, 0.718, 0.500)
Ga (0.468, 0.468, 0.000)
Ga (0.887, 0.387, 0.500)

Largest 10 diffraction maxima, by angle, 10 to 80 degrees two-theta:
2θ (°)  I_rel
32.0  28
34.0  100
35.2  25
38.8  34
42.5  46
47.1  42
60.2  21
62.6  16
68.9  13
79.1  17

=====

Starting from a crystal structure in OQMD, relaxed with PBE, the powder X-ray diffraction pattern of LaTaO4 was simulated for copper Kα.
Neutral-atom scattering factors, no anomalous dispersion.

Structural model:
Cell: 7.529 7.962 10.997 Å, 90.00 90.00 90.00°
Atoms (fractional coordinates):
La (0.246, 0.125, 0.028)
La (0.246, 0.375, 0.528)
La (0.254, 0.625, 0.028)
La (0.254, 0.875, 0.528)
La (0.746, 0.125, 0.472)
La (0.746, 0.375, 0.972)
La (0.754, 0.625, 0.472)
La (0.754, 0.875, 0.972)
Ta (0.001, 0.624, 0.751)
Ta (0.001, 0.876, 0.251)
Ta (0.499, 0.124, 0.751)
Ta (0.499, 0.376, 0.251)
Ta (0.501, 0.624, 0.749)
Ta (0.501, 0.876, 0.249)
Ta (0.999, 0.124, 0.749)
Ta (0.999, 0.376, 0.249)
O (0.001, 0.124, 0.248)
O (0.001, 0.376, 0.748)
O (0.070, 0.124, 0.577)
O (0.070, 0.376, 0.077)
O (0.071, 0.627, 0.577)
O (0.071, 0.873, 0.077)
O (0.249, 0.130, 0.809)
O (0.249, 0.370, 0.309)
O (0.251, 0.630, 0.809)
O (0.251, 0.870, 0.309)
O (0.429, 0.127, 0.577)
O (0.429, 0.373, 0.077)
O (0.430, 0.624, 0.577)
=====

Variations in Volcanic Dust High Up

Last month, in Science magazine, Susan Solomon,* an atmospheric chemist at the National Oceanic and Atmospheric Administration (NOAA) and her colleagues presented satellite measurements of sulfate aerosols in volcanic dust in the stratosphere, the upper region of the atmosphere that contains the ozone layer. These measurements showed that the levels of volcanic dust in the stratosphere actually vary significantly even in the absence of major volcanic eruptions such as the Mount Pinatubo eruption in 1991.

Aerosols such as this volcanic dust scatter and reflect light from the sun, thus causing a net cooling of the climate. The volcanic dust in the stratosphere actually increased (mostly from natural volcanic events) enough from 2000 to 2010 to decrease the heat trapped by the atmosphere by 0.1 W/m2. For comparison, the increase in CO2 during the same period increased the heat trapped by the atmosphere by 0.28 W/m2, thus this volcanic dust cancelled out some of the warming that would have occurred from CO2 alone. While this is certainly a good thing as it has slowed the pace of global warming, it is unclear whether this increase in volcanic dust will continue due to the unpredictable nature of volcanic activity. For example, if by 2020 volcanic dust were to return to levels seen in the 1960, any cooling effect would disappear and cause average global temperature to increase by 0.06oC in addition to any changes from increased greenhouse gases. Despite the inherit unpredictability of volcanic activity, understanding that volcanic dust does have variable effects on the climate over time can help better constrain the possible range of any future changes in the climate.

In a broader sense, aerosols (i.e. dust and liquid droplets floating in air) are an important part of the climate change picture that are often under-discussed compared to poor, infamous CO2. Changes in aerosols caused by humans from land use, transportation (autos, trains, etc.), and industry (smoke stacks) since the industrial revolution have increased the light reflected by the Earth. Much like the volcanic dust in the stratosphere, this has reduced the heat trapped by the atmosphere, partially offsetting the increased heat trapped by greenhouse gases. In the period from 1940 to 1980, the combined effect of these two might have canceled each other out for a time, leading some to speculate about the possibility of global cooling in the 1970's. Of course, this hypothesis has not been borne out by the data since then. Aerosols have negative effects on humans directly through inhalation or indirectly through smog and acid rain, so government regulation of these pollutants has reduced their concentration in the atmosphere. While this is an obviously good thing for human society, it had the unfortunate effect of reducing their cooling effect on the atmosphere!

The article is interrupted by records of crystals:
=====
(1)
Simulated PXRD pattern of Hf2AlSbSe for Cu Kα (λ = 1.5418 Å), from DFT lattice parameters and positions (GGA-PBE).

Lattice parameters (Å, degrees): 5.018 5.018 4.695 90.00 90.00 90.00
Space group P4/mmm (No. 123)
One atom of each set of equivalent atoms:
Hf 0.000 0.500 0.000 (multiplicity 2)
Al 0.000 0.000 0.500 (multiplicity 1)
Sb 0.500 0.500 0.500 (multiplicity 1)
Se 0.000 0.000 0.000 (multiplicity 1)

Main lines, low angle first (2θ = 10–90°):
2θ 18.9, I 40; 2θ 26.0, I 28; 2θ 31.6, I 100; 2θ 35.8, I 68; 2θ 38.3, I 28; 2θ 51.5, I 24; 2θ 53.5, I 43; 2θ 61.7, I 30

=====

(2)
Simulated PXRD pattern of HfScAl for Cu Kα (λ = 1.5418 Å), from DFT lattice parameters and positions (GGA-PBE).

Lattice parameters (Å, degrees): 3.148 3.148 12.437 90.00 90.00 90.00
Space group I4mm (No. 107)
One atom of each set of equivalent atoms:
Hf 0.000 0.000 0.000 (multiplicity 2)
Sc 0.000 0.000 0.320 (multiplicity 2)
Al 0.000 0.000 0.657 (multiplicity 2)

Main lines, low angle first (2θ = 10–90°):
2θ 14.2, I 68; 2θ 28.7, I 17; 2θ 29.3, I 57; 2θ 35.8, I 100; 2θ 40.5, I 36; 2θ 43.2, I 19; 2θ 61.1, I 20; 2θ 70.7, I 27

=====

(3)
Simulated PXRD pattern of Hf2ScAl3 for Cu Kα (λ = 1.5418 Å), from DFT lattice parameters and positions (GGA-PBE).

Lattice parameters (Å, degrees): 4.283 8.291 12.824 90.00 90.00 90.00
Space group Imma (No. 74)
One atom of each set of equivalent atoms:
Hf 0.000 0.250 0.001 (multiplicity 4)
Hf 0.000 0.250 0.332 (multiplicity 4)
Sc 0.000 0.250 0.667 (multiplicity 4)
Al 0.000 0.000 0.500 (multiplicity 4)
Al 0.000 0.002 0.165 (multiplicity 8)

Main lines, low angle first (2θ = 10–90°):
2θ 12.7, I 35; 2θ 21.4, I 42; 2θ 29.5, I 39; 2θ 36.8, I 100; 2θ 42.2, I 34; 2θ 43.7, I 15; 2θ 47.8, I 21; 2θ 62.4, I 21

~~~~~

No. 1
Starting from a crystal structure in Alexandria, relaxed with GGA-PBE, the PXRD pattern of ThAl12Cu6 was computed for copper Kα.

Largest 12 diffraction maxima, by angle, 15 to 90 degrees two-theta:
2θ 21.02, I = 29.6
2θ 22.78, I = 50.3
2θ 26.39, I = 100.0
2θ 31.85, I = 76.7
2θ 32.15, I = 66.6
2θ 34.87, I = 62.8
2θ 35.40, I = 58.1
2θ 39.52, I = 48.2
2θ 45.89, I = 42.5
2θ 46.53, I = 57.2
2θ 47.94, I = 20.6
2θ 51.63, I = 35.0

Crystal structure
Cell lengths 11.2372, 11.2372, 8.5234 Å; angles 90.00, 90.00, 120.00 degrees
Space group R-3m (No. 166, hexagonal axes)
Unique sites:
Th 0.0000 0.0000 0.0000 [3 per cell]
Al 0.0000 0.3843 0.5000 [18 per cell]
Al 0.0849 0.1698 0.3296 [18 per cell]
Cu 0.0342 0.5171 0.2504 [18 per cell]

***

No. 2
Starting from a crystal structure in Alexandria, relaxed with GGA-PBE, the PXRD pattern of CsSi2Ge6 was computed for copper Kα.

Largest 12 diffraction maxima, by angle, 15 to 90 degrees two-theta:
2θ 20.21, I = 100.0
2θ 21.75, I = 28.8
2θ 23.99, I = 54.5
2θ 24.34, I = 58.2
2θ 29.85, I = 83.3
2θ 30.93, I = 27.9
2θ 32.59, I = 63.3
2θ 33.20, I = 58.6
2θ 33.74, I = 25.0
2θ 43.52, I = 75.7
2θ 46.00, I = 32.2
2θ 50.96, I = 24.4

Crystal structure
=====

Studies like this one are especially important for improving climate predictions, as aerosols are the least well-understood part of climate change, especially because of their indirect effects on cloud formation. (See this chart from the IPCC and notice the very large black bars on aerosols compared to other factors.) They're certainly understood enough to predict that the Earth is warming and will continue to warm without any changes in human activity, but predicting how much the climate might change in the future is constrained largely by the uncertainty in the effects of aerosols. Better understanding the impact of aerosols, both human-made and natural, can improve the uncertainty in future predictions of climate. This, in turn, can provide better estimates of the costs and benefits of any potential emissions reductions or even geoengineering.

*Susan Solomon has won the US National Medal of Science for her work on understanding the cause of ozone depletion, and was one of the co-chairs of the physical science report for the International Panel on Climate Change.

Thursday, September 8, 2011

The Decade-long Mystery of Atmospheric Methane

In a recent paper in Atmospheric Chemistry and Physics, scientists from the Institute for Marine and Atmospheric Research Utrecht compared the results from an atmospheric model of methane to observations of methane and its carbon isotope ratios from various atmospheric monitoring stations around the world. (Full disclosure: I worked at IMAU for 3 months on a fellowship with the PI on an unrelated research project) From 1998 to 2006, the amount of methane (CH4) in the atmosphere stopped growing even though emissions from human civilization during this time increased. Based on a model that takes into account the flow of methane into the atmosphere from natural and human sources and the flow of methane out of the atmosphere from the natural sinks, methane should have increased during this time period.

Why would anyone care about methane? Because methane absorbs infrared radiation (heat) strongly, it is the second most important greenhouse gas on the atmosphere of Earth despite its relatively short lifetime in the atmosphere (~9 years). Its concentration has actually increased in the atmosphere from 700 parts per billion in 1750 to nearly 1900 parts per billion today. This increase in methane has led to more heat being trapped by the atmosphere, partially contributing to climate change.

Because the sources and sinks of methane are not completely understood, models that try to take all of them into account cannot predict the "leveling off" of methane observed in the atmosphere from 1998 to 2006. The authors use a mathematical model similar to the one displayed below that includes estimated values for the natural sources of methane (mostly from bacteria in wetlands), the human sources of methane (fossil fuel mining/extraction, rice paddies, waste and water treatment, biomass (i.e. wood) burning, and livestock), and the natural sinks of methane (mostly hydroxyl free radicals (OH) produced from water exposed to sunlight). They then do a "sensitivity analysis" where each major source or sink is increased or decreased within the model to show how changes in these can potentially affect the methane calculated by the model. By increasing the sink through increased hydroxyl radical concentrations or by decreasing the source from wetlands, the model calculates a trend similar to atmospheric observations of methane. How can we tell which of these may have caused this change in the trend, though?

This diagram depicts the flow of methane from sources into the atmosphere as well as the sinks that consume methane.
A. Permafrost, Glaciers, and Ice Cores B. Wetlands C. Forest Fires D. Rice Paddies E. Animals F. Plants G. Landfills H. Waste Water Treatment Facilities I. Hydroxyl Radical J. Chlorine Radical
Image by Olivia Shoup and used under the Creation Commons Attribution Share-Alike 3.0 license

Observations and modeling of the carbon-13 to carbon-12 ratio in methane can help provide additional constraints on understanding the sources and sinks of methane. (For more about isotopes and chemistry and how it relates to the atmosphere, see this part of a previous post on a related topic.) Since each source and sink has a relatively different carbon-13 to carbon-12 ratio, any changes to these sources and sinks in the model will also affect the modeled carbon-13 to carbon-12 ratio. These results then can be compared to the atmospheric record of carbon-13 to carbon-12 in methane to see if any change in the estimated value for a source or sink is justified. Using the isotope ratio as a guide, a decrease in wetland methane emissions in the model, while it can bring the methane concentration in the model close to that observed in nature, results in a significant increase in the carbon-13 to carbon-12 ratio, which is not observed. In contrast, an increase in the hydroxyl radical sink will bring the methane in the model close to that observed in nature, but without changing the modeled isotope ratio. Such an increase in hydroxyl radical concentration has been independently proposed, but this hypothesis is hard to confirm since hydroxyl radicals are difficult to observe directly due to their very low lifetime (less than one second).

Using both the atmospheric concentration and carbon isotope ratios of methane, the scientists in this study were able to identify potential causes of the slow down in the growth of methane in the atmosphere from 1998 to 2006. The ways methane is produced or released in the atmosphere may have been reduced during this time period, but this is not necessarily consistent with either the carbon isotope ratios or other outside estimates of these sources. The primary way methane is destroyed in the atmosphere, through reaction with hydroxyl radicals (OH), may have also increased during this time period. This is consistent with the isotope evidence as well as other studies relating to hydroxyl radicals. A combination of these effects is also possible, but the combined effect would need to be consistent with the isotope evidence as well. This kind of modeling study demonstrates how measuring the isotope ratios in an atmospheric gas can be useful for understanding its chemical and biological activity in the atmosphere.


Using a model such as this along with atmospheric observations, scientists can develop a better understanding of how methane or other atmospheric gases move in and out of the atmosphere. This is crucial to understanding the potential range of impacts from a given public policy towards environmental pollutants, whether related to smog or climate change. Because of its short lifetime and significant impacts not only on the climate but as a precursor to photochemical smog (ozone pollution), it has been suggested that reductions in methane (and other pollutants) that are technologically feasible now could "buy time" on climate change while having significant public health benefits. While a certain degree of uncertainty does exist about any form of public policy (who knows if an asteroid might hit the Earth tomorrow or nuclear war could break out?), developing as complete an understanding of the physical basis behind any proposed policy as possible is key to helping best estimate the cost and benefits of any decision.

Wednesday, September 7, 2011

Extreme cold and global warming

"Hey! There was some crazy blizzards in the US this year and the last. How can you scientists still say that the Earth is warming when it was unusually cold in the winter of 2010 and 2011?" This is a common kind of question from laymen in regards to the feasibility of climate change. Luckily, some scientists actually looked at this in a recent article in Geophysical Research Letters. (gated beyond the abstract, unfortunately)

These scientists divided the Northern hemisphere into eight regions: USA, Canada, Alaska/Yukon, Siberia, Far East, Central Asia, Nothern Europe/Russia, and Mediterranean/Middle East. Then, using statistical techniques, they examined the temperature record for extreme cold and warm events for the winters of 2010 and 2011 and compared it to the historical record for 1950-2009. Indeed, the USA, Northern Europe, and Siberia did experience winters that were unusually cold in 2010 and 2011. However, the number and extent of unusually cold days in these two regions was offset by an even greater number of unusually hot days in every other region of the Northern Hemisphere! Not only were there are larger number of extremely hot days, but these hot spells also lasted much longer and were more extreme compared to any of the extremely cold days in the United States, Europe, or Siberia.

-- begin --
No. 1
Computed X-ray powder pattern
Compound: Pr8ZnGa3I4
Radiation: Cu Kα, 1.54184 Å
Structure: the PBE geometry in Alexandria
Kinematic intensities with the Lorentz-polarization factor, no thermal factor.

Largest 10 diffraction maxima, sorted by position, 5 to 70 degrees two-theta:
- 28.2 deg, I = 100.0, (4 0 0)
- 30.5 deg, I = 8.5, (2 2 1)
- 39.2 deg, I = 35.4, (2 2 2)
- 41.3 deg, I = 37.2, (0 4 0)
- 50.6 deg, I = 6.5, (8 0 -4)
- 50.7 deg, I = 12.9, (4 4 0)
- 55.1 deg, I = 6.9, (6 2 1)
- 58.2 deg, I = 11.0, (8 0 0)
- 64.4 deg, I = 12.3, (0 4 4)
- 67.3 deg, I = 10.9, (10 2 -2)

Unit cell a=15.167 b=8.739 c=9.230 alpha=90.00 beta=123.28 gamma=90.00
Space group C2/m (No. 12)
Asymmetric unit:
1 Pr 0.012 0.248 0.284
2 Pr 0.238 0.000 0.713
3 Pr 0.240 0.500 0.717
4 Zn 0.000 0.500 0.500
5 Ga 0.000 0.000 0.500
6 Ga 0.250 0.250 0.500
7 I 0.000 0.000 0.000
8 I 0.000 0.500 0.000
9 I 0.250 0.250 0.000

No. 2
Computed X-ray powder pattern
Compound: Pu3GaI8
Radiation: Cu Kα, 1.54184 Å
Structure: the PBE geometry in Alexandria
Kinematic intensities with the Lorentz-polarization factor, no thermal factor.

Largest 10 diffraction maxima, sorted by position, 5 to 70 degrees two-theta:
- 11.6 deg, I = 72.1, (0 0 2)
- 12.6 deg, I = 37.8, (1 0 1)
- 25.4 deg, I = 97.5, (2 0 2)
- 28.6 deg, I = 100.0, (2 0 3)
- 32.6 deg, I = 32.7, (2 0 4)
- 37.2 deg, I = 58.1, (2 0 5)
- 39.5 deg, I = 72.3, (2 2 0)
- 42.2 deg, I = 29.8, (2 0 6)
- 47.5 deg, I = 38.7, (0 0 8)
- 63.5 deg, I = 51.2, (2 2 8)

Unit cell a=9.1325 b=9.1325 c=15.2849 alpha=90.00 beta=90.00 gamma=120.00
Space group P6_3mc (No. 186)
Asymmetric unit:
1 Pu 0.1667 0.3334 0.0000
2 Ga 0.3333 0.6667 0.2504
3 I 0.0000 0.0000 0.1191
4 I 0.0111 0.5056 0.1198
5 I 0.1623 0.3246 0.3839
6 I 0.3333 0.6667 0.8808

No. 3
Computed X-ray powder pattern
Compound: PuGaI4
Radiation: Cu Kα, 1.54184 Å
Structure: the PBE geometry in Alexandria
Kinematic intensities with the Lorentz-polarization factor, no thermal factor.

Largest 10 diffraction maxima, sorted by position, 5 to 70 degrees two-theta:
- 10.8 deg, I = 28.8, (0 0 1)
- 11.9 deg, I = 66.7, (1 0 0)
- 24.5 deg, I = 43.9, (1 0 -2)
- 25.5 deg, I = 100.0, (1 1 1)
- 32.1 deg, I = 23.8, (2 0 -2)
- 32.8 deg, I = 18.5, (2 1 -1)
- 33.2 deg, I = 35.1, (2 1 1)
- 38.3 deg, I = 37.7, (0 1 3)
- 39.5 deg, I = 19.1, (0 2 0)
- 42.8 deg, I = 30.6, (3 1 -1)

Unit cell a=7.416 b=4.566 c=8.220 alpha=90.00 beta=91.34 gamma=90.00
Space group P2/m (No. 10)
Asymmetric unit:
1 Pu 0.000 0.000 0.000
2 Ga 0.000 0.500 0.500
3 I 0.233 0.000 0.698
4 I 0.234 0.500 0.159

No. 4
Computed X-ray powder pattern
Compound: RbGaI2
Radiation: Cu Kα, 1.54184 Å
Structure: the PBE geometry in Alexandria
Kinematic intensities with the Lorentz-polarization factor, no thermal factor.

Largest 10 diffraction maxima, sorted by position, 5 to 70 degrees two-theta:
- 23.4 deg, I = 100.0, (0 1 3)
- 29.8 deg, I = 95.5, (1 0 6)
- 36.5 deg, I = 55.9, (1 1 0)
- 38.4 deg, I = 21.1, (0 1 9)
- 43.8 deg, I = 18.4, (2 0 3)
-- stop --

What accounted for the cold extremes experienced in parts of the Northern Hemisphere then? Similar to the natural El Niño/El Niña phenomenon in the Southern Pacific ocean, another natural phenomenon called the North Atlantic oscillation causes variability in local climates in the Northern Hemisphere. During the winters of 2010 and 2011, this oscillation exhibited an unusual and persistent pattern that caused cold air from the Arctic to move down to the United States and Europe, while warm air traveled up to the Arctic. This made it so that while much of North America and Europe was unusually cold, the Arctic was, in fact, much warmer during the winter. Even now, the total area of Arctic sea ice is near record lows this year.

In contrast, the extremely hot weather in the rest of the Northern Hemisphere cannot be explained by natural variations in climate, but require an outside explanation. This paper demonstrates that while there may be locally extreme cold events in weather than run counter to the overall trend of anthropogenic climate change, the overall trend for the entire planet is warming.